I think they’ve been state owned companies for long enough that “de-privatized” is totally appropriate. It refers to the more recent “de-nationalization”, it provides more information.
☝️🤠💖 I love this freaking thing.
💢💢 If you don’t… 💢💢
🤯🔨🤠 Things could get bad. 🥰🚀🚀🚀🚀☢️
⏳⌛ I guess it’s just one of those decades. 📜🗓️🗓️🗓️🗓️🗓️🗓️🗓️🗓️🗓️🗓️
I think they’ve been state owned companies for long enough that “de-privatized” is totally appropriate. It refers to the more recent “de-nationalization”, it provides more information.
Death to em
[Records of crystals from another source follow]
Diffraction record for MnCr2Ni3P6O24. The powder XRD pattern is theoretical, not measured: it uses a DFT-relaxed cell (PBE+U, Alexandria) and CuKα.
Kinematic intensities with the Lorentz-polarization factor, no thermal factor.

Structural model:
Cell lengths 8.378, 8.378, 8.378 Å; angles 61.50, 61.50, 61.50 degrees
Positions (direct):
Mn  0.000  0.000  0.000
Cr  0.356  0.356  0.356
Cr  0.856  0.856  0.856
Ni  0.214  0.214  0.214
Ni  0.500  0.500  0.500
Ni  0.716  0.716  0.716
P  0.111  0.400  0.809
P  0.311  0.911  0.608
P  0.400  0.809  0.111
P  0.608  0.311  0.911
P  0.809  0.111  0.400
P  0.911  0.608  0.311
O  0.037  0.241  0.851
O  0.109  0.906  0.776
O  0.121  0.466  0.271
O  0.214  0.338  0.947
O  0.241  0.851  0.037
O  0.248  0.432  0.597
O  0.271  0.121  0.466
O  0.338  0.947  0.214
O  0.351  0.760  0.529
O  0.432  0.597  0.248
O  0.465  0.872  0.676
O  0.466  0.271  0.121
O  0.529  0.351  0.760
O  0.595  0.822  0.948
O  0.597  0.248  0.432
O  0.676  0.465  0.872
O  0.760  0.529  0.351
O  0.776  0.109  0.906
O  0.822  0.948  0.595
O  0.851  0.037  0.241
O  0.872  0.676  0.465
O  0.906  0.776  0.109
O  0.947  0.214  0.338
O  0.948  0.595  0.822

Top 6 peaks for 2θ = 10–80°, sorted by position:
2θ/deg	intensity
20.74	92
24.60	100
33.77	67
36.33	44
48.39	35
50.44	26

~~~~~

Ba2MgVMoO6: computed powder diffractogram (Cu Kα), based on a crystal structure in the Materials Project, relaxed with GGA+U.

Cell and atoms:
Cell: 6.6254 6.6254 6.6254 Å, 54.47 54.47 54.47°
Sites, in units of the cell vectors:
Ba (0.0000, 0.0000, 0.0000)
Ba (0.4247, 0.4247, 0.4247)
Mg (0.6359, 0.6359, 0.6359)
V (0.8060, 0.8060, 0.8060)
Mo (0.2164, 0.2164, 0.2164)
O (0.4400, 0.9823, 0.9823)
O (0.4470, 0.4470, 0.9868)
O (0.4470, 0.9868, 0.4470)
O (0.9823, 0.4400, 0.9823)
O (0.9823, 0.9823, 0.4400)
O (0.9868, 0.4470, 0.4470)

Top 10 peaks for 15 to 90 degrees two-theta, sorted by position:
- 2θ 17.69, d 5.014, intensity 24
- 2θ 27.11, d 3.289, intensity 23
- 2θ 29.46, d 3.032, intensity 100
- 2θ 31.51, d 2.839, intensity 83
- 2θ 40.46, d 2.229, intensity 23
- 2θ 43.68, d 2.072, intensity 32
- 2θ 52.26, d 1.751, intensity 19
- 2θ 53.56, d 1.711, intensity 41
- 2θ 57.82, d 1.595, intensity 17
- 2θ 61.13, d 1.516, intensity 19

~~~~~

No. 1
This entry pairs a crystal structure of Na2CoP2O7 with its computed X-ray powder pattern. Radiation: λ = 1.5418 Å (Cu Kα). Structure: a cell relaxed with GGA+U.
Neutral-atom scattering factors, no anomalous dispersion.

Main lines, in order of rising 2θ (10 to 90 degrees two-theta):
2θ (°), d/Å, I_rel
17.22, 5.148, 77
23.54, 3.779, 38
25.30, 3.520, 33
28.55, 3.127, 51
30.77, 2.906, 100
36.09, 2.489, 40
36.72, 2.448, 24
38.52, 2.337, 18
40.24, 2.241, 23
51.04, 1.789, 49

```
data_Na2CoP2O7
_cell_length_a 7.871
_cell_length_b 7.871
_cell_length_c 5.148
_cell_angle_alpha 90.00
_cell_angle_beta 90.00
_cell_angle_gamma 90.00
_space_group_name_H-M_alt 'P -4 21 m'
_space_group_IT_number 113
loop_
_space_group_symop_operation_xyz
'x,y,z'
Well good move on blocking me because I am here to taunt you for now knowing how to block instances. I wouldn’t tell you.
(Someone pasted records of crystals at this point)
+++
Structure and computed powder XRD pattern of VReMo4 (a PBE-relaxed structure; a wavelength of 1.5418 Å).
No peak broadening, texture or thermal motion is included.

Lattice parameters (Å, degrees): 9.8959 3.1320 6.2509 90.00 108.42 90.00
Element x y z (fractional)
V (0.0000, 0.0000, 0.0000)
V (0.5000, 0.5000, 0.0000)
Re (0.0000, 0.0000, 0.5000)
Re (0.5000, 0.5000, 0.5000)
Mo (0.1642, 0.5000, 0.8354)
Mo (0.1671, 0.5000, 0.3308)
Mo (0.3329, 0.0000, 0.6692)
Mo (0.3358, 0.0000, 0.1646)
Mo (0.6642, 0.0000, 0.8354)
Mo (0.6671, 0.0000, 0.3308)
Mo (0.8329, 0.5000, 0.6692)
Mo (0.8358, 0.5000, 0.1646)

Main lines, by angle (2θ = 15–90°):
d/Å  2theta  I (rel.)  (hkl)
4.423  20.07  45  2 0 -1
3.219  27.71  20  2 0 1
2.770  32.32  32  1 1 -1
2.556  35.11  23  1 1 1
2.465  36.45  13  4 0 -1
2.213  40.78  1000  3 1 0
1.672  54.90  14  3 1 -3
1.565  59.01  109  0 2 0
1.563  59.12  54  2 0 -4
1.277  74.24  331  5 1 2
1.107  88.32  73  6 2 0
1.106  88.40  37  4 0 4

=====

(1)
Starting from a DFT-relaxed cell (PBE, Alexandria), the powder diffractogram of Pr4Er5In was calculated for Cu Ka.
Lines closer than 0.1° are merged.

Atomic structure:
Cell lengths 3.624, 4.876, 17.864 Å; angles 90.00, 90.00, 90.00 degrees
Positions (direct):
Pr (0.000, 0.000, 0.104)
Pr (0.000, 0.000, 0.303)
Pr (0.000, 0.000, 0.697)
Pr (0.000, 0.000, 0.896)
Er (0.500, 0.500, 0.000)
Er (0.500, 0.500, 0.208)
Er (0.500, 0.500, 0.411)
Er (0.500, 0.500, 0.589)
Er (0.500, 0.500, 0.792)
In (0.000, 0.000, 0.500)

The 6 most intense peaks (15° ≤ 2θ ≤ 90°), sorted by position:
Position (°2θ)  I (rel.)
30.74  100
31.03  94
35.28  68
36.87  31
51.95  44
60.35  28

***

(2)
Starting from a DFT-relaxed cell (PBE, Alexandria), the powder diffractogram of Pr2Er4In5 was calculated for Cu Ka.
Lines closer than 0.1° are merged.

Atomic structure:
Cell lengths 11.539, 10.731, 6.182 Å; angles 81.24, 66.80, 31.97 degrees
Positions (direct):
Pr (0.111, 0.111, 0.889)
Pr (0.889, 0.889, 0.111)
Er (0.204, 0.541, 0.459)
Er (0.459, 0.796, 0.204)
Er (0.541, 0.204, 0.796)
Er (0.796, 0.459, 0.541)
In (0.000, 0.000, 0.500)
In (0.250, 0.250, 0.250)
In (0.500, 0.500, 0.000)
In (0.500, 0.500, 0.500)
In (0.750, 0.750, 0.750)

The 6 most intense peaks (15° ≤ 2θ ≤ 90°), sorted by position:
Position (°2θ)  I (rel.)
29.24  54
31.79  76
33.16  100
35.02  58
36.42  64
37.36  39

***

(3)
Starting from a DFT-relaxed cell (PBE, Alexandria), the powder diffractogram of Pr4Er9In11 was calculated for Cu Ka.
Lines closer than 0.1° are merged.

Atomic structure:
Cell lengths 14.270, 14.270, 3.451 Å; angles 90.00, 90.00, 111.02 degrees
Positions (direct):
Pr (0.096, 0.258, 0.000)
Pr (0.258, 0.096, 0.000)
Pr (0.742, 0.904, 0.000)
Pr (0.904, 0.742, 0.000)
Er (0.000, 0.000, 0.000)
Er (0.111, 0.668, 0.000)
Er (0.297, 0.494, 0.000)
Er (0.332, 0.889, 0.000)
Er (0.494, 0.297, 0.000)
Er (0.506, 0.703, 0.000)
Er (0.668, 0.111, 0.000)
Er (0.703, 0.506, 0.000)
Er (0.889, 0.332, 0.000)
In (0.091, 0.463, 0.500)
In (0.122, 0.878, 0.500)
+++
That may be true, but consider it a research project. I look on new information I don’t fully grasp as an opportunity. It’s an update that doesn’t contain the full structure of the antipoverty programs.
To say that they are “modeled after China’s” is a bowlderization in my opinion, as even within China approaches differ by region, but there is not a better comparison.
It’s a multifaceted approach: programs for free rural healthcare are implemented before developed urban areas, elecrification, roads and other infrastructure, positive ecological and farming practices have to be supported and funded, financing for farmers is quite possibly the origin of the financial system (historically I mean) and it is of paramount importance to protecting a nation’s agricultural security. Effective trade practices on a national level are required to shield farmers from international pressures and export shit at high prices. It’s a prioritization of agriculture as a matter of national security. It can’t just be treated like any other industry, and it can’t be managed like a serfdom! In many respects this is like how military industry must be treated to maintain security.
Vietnamese farmland is still in a long process of decontamination from the defoliants dropped by the USA, there is an additional healthcare burden relared to that. That’s a very upsetting subject.
You couldn’t define socialism if you tried
- - -
This entry pairs a crystal structure of Ba4La6MnCo9O30 with its theoretical powder diffractogram. Radiation: λ = 1.5418 Å (Cu Kα). Structure: DFT lattice parameters and positions (GGA+U).
Intensities are scaled so that the largest is 100.

Main lines, low angle first (15 to 90 degrees two-theta):
(hkl)	2θ (°)	Rel. int.
2 0 0	32.0	52
1 1 5	32.4	100
2 0 5	39.8	25
2 2 0	45.9	34
3 1 5	57.3	39
2 0 10	58.0	20

Cell and atoms:
```
Ba4La6MnCo9O30
1.0
5.5972 0.0000 0.0000
0.0000 5.5972 0.0000
0.0000 0.0000 19.3165
Ba La Mn Co O
4 6 1 9 30
Cartesian
0.0000 2.7986 1.9359 Ba
0.0000 2.7986 17.3806 Ba
2.7986 0.0000 1.9359 Ba
2.7986 0.0000 17.3806 Ba
0.0000 2.7986 5.8087 La
0.0000 2.7986 9.6583 La
0.0000 2.7986 13.5078 La
2.7986 0.0000 5.8087 La
2.7986 0.0000 9.6583 La
2.7986 0.0000 13.5078 La
0.0000 0.0000 0.0000 Mn
0.0000 0.0000 3.9811 Co
0.0000 0.0000 7.7506 Co
0.0000 0.0000 11.5659 Co
0.0000 0.0000 15.3354 Co
2.7986 2.7986 0.0000 Co
2.7986 2.7986 3.8611 Co
2.7986 2.7986 7.7365 Co
2.7986 2.7986 11.5800 Co
2.7986 2.7986 15.4554 Co
0.0000 0.0000 1.9804 O
0.0000 0.0000 5.9650 O
0.0000 0.0000 9.6583 O
0.0000 0.0000 13.3516 O
0.0000 0.0000 17.3361 O
1.3557 1.3557 4.1782 O
1.3557 1.3557 15.1384 O
1.3557 4.2414 4.1782 O
1.3557 4.2414 15.1384 O
1.4020 1.4020 7.8180 O
1.4020 1.4020 11.4986 O
1.4020 4.1952 7.8180 O
1.4020 4.1952 11.4986 O
1.4053 1.4053 0.0000 O
1.4053 4.1919 0.0000 O
2.7986 2.7986 2.1116 O
2.7986 2.7986 5.8855 O
2.7986 2.7986 9.6583 O
2.7986 2.7986 13.4310 O
2.7986 2.7986 17.2049 O
4.1919 1.4053 0.0000 O
4.1919 4.1919 0.0000 O
4.1952 1.4020 7.8180 O
4.1952 1.4020 11.4986 O
4.1952 4.1952 7.8180 O
4.1952 4.1952 11.4986 O
4.2414 1.3557 4.1782 O
4.2414 1.3557 15.1384 O
4.2414 4.2414 4.1782 O
4.2414 4.2414 15.1384 O
```

----------

# MgMn6O4F8
Theoretical XRD peak list, a wavelength of 1.5418 Å. Input: a cell relaxed with GGA+U.

Structural model:
a b c (Å): 5.1921 5.8566 8.0854
angles (deg): 86.11 89.59 87.07
Positions (direct):
Mg 0.0000 0.0000 0.0000
Mn 0.0045 0.3801 0.2118
Mn 0.0038 0.9917 0.5100
Mn 0.1838 0.6003 0.8126
Mn 0.4640 0.1410 0.8492
Mn 0.5076 0.8332 0.1835
Mn 0.5226 0.4837 0.5065
O 0.1710 0.3012 0.9531
O 0.1974 0.7095 0.5768
O 0.3375 0.8573 0.9399
O 0.8324 0.2790 0.4311
F 0.1552 0.0102 0.2476
F 0.2979 0.1726 0.5998
F 0.3647 0.5144 0.2611
F 0.5960 0.4427 0.7691
F 0.6907 0.1466 0.0889
F 0.7133 0.8043 0.4144
F 0.8136 0.9896 0.7792
F 0.8679 0.6916 0.0798

Peak list (10 most intense, 2θ = 15–90°, in order of rising 2θ)
| 2θ (°) | d (Å) | I_rel | h k l |
| --- | --- | --- | --- |
| 20.35 | 4.364 | 19.4 | 1 0 1 |
| 24.46 | 3.639 | 100.0 | 1 1 1 |
| 25.60 | 3.480 | 60.1 | -1 1 1 |
| 32.37 | 2.765 | 25.1 | 1 1 -2 |
| 33.13 | 2.704 | 24.8 | 1 -1 2 |
| 33.34 | 2.688 | 66.7 | 0 0 3 |
| 40.09 | 2.249 | 25.8 | -2 1 1 |
| 49.18 | 1.852 | 26.6 | 1 3 0 |
| 49.68 | 1.835 | 28.6 | 1 1 4 |
| 57.27 | 1.609 | 26.8 | 0 2 -4 |

----------
- - -
You’re getting desperate, this doesn’t have anything to do with what I posted
I haven’t read 3 of those Dave L I am slacking
Unmasking Autism, it’s on libgen
Oh sorry didn’t see the community, could be irrelevant.
You joke but providing incredibly shitty overpriced healthcare that provides a higher return on investment is an American specialty. People who are incarcerated get dosed with all kinds of wonderful stuff like antipsychotics (should be banned IMHO) if they act up too much.
Same reason why nobody who wants cheap bit unprofitable drugs, or expensive profitable drugs with even more expensive alternative treatments can get any
My own comment on this is that the article doesn’t mention poverty at all, except implicitly by clarifying the example kid is “gifted” and not from a harsh background. Based on my family in the US, some of whom are teachers, I imagine a combination of social stresses and parents working multiple jobs is worsening the issue and destroying generational transfer of reading skills
I was wrong actually apparently her anti trans stuff is longstanding 😒
Cute how many of you haven’t noticed Harris is pivoting against trans people already.
Russia won’t play ball with them like that, and Trump’s political allies don’t want to ameliorate the Ukraine crisis either.
First of all “brotha”, you’re white, second you know nothing about the oil industry. I notice the most ruffled feathers from the haters when I report the news on your side admitting flaws. You must prefer the media that is aimed at really, really ignorant people who only comprehend the most childish narrative.
Oilprice works with the largest names in financial news and provides news and analysis to sites such as: CNBC, Yahoo Finance, Nasdaq, Fortune, TIME Magazine, Huffington Post, USA Today, CNN Money, Business Insider and hundreds of others.
As usual when you have to cede a point being made you back off and play dumb.
They really aren’t giving you click farm employees much training are they? You sound like a moron reciting the online distruption rulebook directly. Try harder next time.
The point is nobody complains about Saudi or US propaganda. You’re only trained to bark at Russians. Very ignorant people.
They haven’t started construction of that reactor in the article you’re referencing from 2022, they are talking about site preparations for construction of the reactor, early construction basically, not even sure if that counts for the Wiki page they sourced, if they have begun by now it might not be reflected in this https://wiki.froth.zone/wiki/Category:Nuclear_power_stations_with_reactors_under_construction?lang=en as Statista lists many more Chinese projects than Wikipedia does.
When they do /if they did begin working on the actual reactor, it’s projected to have 1/3 (?) the output of a regular commercial nuclear reactor, so I leave it to you to argue for its inclusion on Wikipedia.
You’ve had enough years now to familiarize yourself with the absolute basics of politics and history in Ukraine, it’s only been the cause of multiple international incidents such as with Poland. You know, because the current government in Ukraine since 2014 worships a movement that preemptively massacred Poles and Jews as the Nazis were coming?
I think there are more than enough online spaces specializing in weird nerds. More interested in escaping the first world nerd bubble than ever.